=====
[1]
K2As2Pd: optimized geometry, PBE-GGA.

Unit cell a=8.0171 b=8.0171 c=6.0940 alpha=90.00 beta=90.00 gamma=131.56
Last column: nearest neighbours and their distance in Å.
Atoms (fractional coordinates):
As1 0.7035 0.9257 0.7500  1 As 2.44, 2 Pd 2.54
As2 0.2965 0.0743 0.2500  1 As 2.44, 2 Pd 2.54
As3 0.0743 0.2965 0.7500  1 As 2.44, 2 Pd 2.54
As4 0.9257 0.7035 0.2500  1 As 2.44, 2 Pd 2.54
K1 0.4215 0.5785 0.2500  6 As 3.46-3.71, 4 K 3.78-3.81, 4 Pd 3.80
K2 0.2059 0.7941 0.7500  2 Pd 3.37, 6 As 3.38-3.56
K3 0.7941 0.2059 0.2500  2 Pd 3.37, 6 As 3.38-3.56
K4 0.5785 0.4215 0.7500  6 As 3.46-3.71, 4 K 3.78-3.81, 4 Pd 3.80
Pd1 0.0000 0.0000 0.0000  4 As 2.54
Pd2 0.0000 0.0000 0.5000  4 As 2.54

Output
The energy of formation is -11.93 kcal/mol of atoms. Its total energy is -0.142 hartree per atom.


[2]
K2As2Pt: optimized geometry, PBE-GGA.

Unit cell a=7.8165 b=7.8165 c=6.3269 alpha=90.00 beta=90.00 gamma=130.51
Last column: nearest neighbours and their distance in Å.
Atoms (fractional coordinates):
As1 0.2979 0.0795 0.2500  1 As 2.47, 2 Pt 2.54
As2 0.0795 0.2979 0.7500  1 As 2.47, 2 Pt 2.54
As3 0.9205 0.7021 0.2500  1 As 2.47, 2 Pt 2.54
As4 0.7021 0.9205 0.7500  1 As 2.47, 2 Pt 2.54
K1 0.7960 0.2040 0.2500  2 Pt 3.30, 6 As 3.34-3.65
K2 0.2040 0.7960 0.7500  2 Pt 3.30, 6 As 3.34-3.65
K3 0.4192 0.5808 0.2500  6 As 3.38-3.78, 2 K 3.71
K4 0.5808 0.4192 0.7500  6 As 3.38-3.78, 2 K 3.71
Pt1 0.0000 0.0000 0.0000  4 As 2.54
Pt2 0.0000 0.0000 0.5000  4 As 2.54

Output
The energy of formation is -11.52 kcal/mol of atoms. Its total energy is -0.148 hartree per atom.


[3]
KAs2Rh2: optimized geometry, PBE-GGA.

Unit cell a=4.0436 b=4.0436 c=7.2523 alpha=106.19 beta=106.19 gamma=90.00
Last column: nearest neighbours and their distance in Å.
Atoms (fractional coordinates):
As1 0.6454 0.6454 0.2908  4 Rh 2.46
As2 0.3546 0.3546 0.7092  4 Rh 2.46
Rh1 0.2500 0.7500 0.5000  4 As 2.46
Rh2 0.7500 0.2500 0.5000  4 As 2.46
K1 0.0000 0.0000 0.0000  8 As 3.45

Output
The energy of formation is -14.11 kcal/mol of atoms. Its total energy is -0.207 hartree per atom.


[4]
KAs2Rh: optimized geometry, PBE-GGA.

Unit cell a=6.9136 b=6.9136 c=6.9136 alpha=145.48 beta=145.48 gamma=49.61
Last column: nearest neighbours and their distance in Å.
Atoms (fractional coordinates):
As1 0.3427 0.3427 0.0000  2 Rh 2.36
As2 0.6573 0.6573 0.0000  2 Rh 2.36
Rh1 0.2500 0.7500 0.5000  4 As 2.36
K1 0.0000 0.0000 0.0000  8 As 3.51, 4 Rh 3.75

Output
The energy of formation is -4.78 kcal/mol of atoms. The calculation puts the total magnetic moment at 0.00 μB/atom. Its total energy is -0.171 hartree per atom.


[5]
K3AsS3: optimized geometry, PBE-GGA.

Unit cell a=9.5258 b=9.5258 c=9.5258 alpha=90.00 beta=90.00 gamma=90.00
Last column: nearest neighbours and their distance in Å.
Atoms (fractional coordinates):
As1 0.2279 0.2279 0.2279  3 S 2.29
As2 0.7721 0.7279 0.2721  3 S 2.29
As3 0.7279 0.2721 0.7721  3 S 2.29
As4 0.2721 0.7721 0.7279  3 S 2.29
S1 0.7525 0.6547 0.0439  1 As 2.29
S2 0.0439 0.7525 0.6547  1 As 2.29
S3 0.5439 0.7475 0.3453  1 As 2.29
S4 0.9561 0.2525 0.8453  1 As 2.29
S5 0.2525 0.8453 0.9561  1 As 2.29
S6 0.8453 0.9561 0.2525  1 As 2.29
S7 0.6547 0.0439 0.7525  1 As 2.29
S8 0.1547 0.4561 0.2475  1 As 2.29
S9 0.7475 0.3453 0.5439  1 As 2.29
S10 0.4561 0.2475 0.1547  1 As 2.29
S11 0.2475 0.1547 0.4561  1 As 2.29
S12 0.3453 0.5439 0.7475  1 As 2.29
K1 0.9325 0.9325 0.9325  6 S 3.17-3.33
K2 0.0595 0.5595 0.9405  6 S 3.22-3.29, 1 As 3.51
K3 0.5595 0.9405 0.0595  6 S 3.22-3.29, 1 As 3.51
K4 0.5675 0.0675 0.4325  6 S 3.17-3.33
K5 0.3268 0.1732 0.8268  6 S 3.43-3.62, 1 K 3.84
K6 0.0675 0.4325 0.5675  6 S 3.17-3.33
K7 0.4325 0.5675 0.0675  6 S 3.17-3.33
K8 0.8268 0.3268 0.1732  6 S 3.43-3.62, 1 K 3.84
K9 0.6732 0.6732 0.6732  6 S 3.43-3.62, 1 K 3.84
K10 0.9405 0.0595 0.5595  6 S 3.22-3.29, 1 As 3.51
K11 0.1732 0.8268 0.3268  6 S 3.43-3.62, 1 K 3.84
K12 0.4405 0.4405 0.4405  6 S 3.22-3.29, 1 As 3.51

Output
=====

Could you start at the top of the contents above and repeat each line, ending with the one that has "0.9325"?

[1]
K2As2Pd: optimized geometry, PBE-GGA.

Unit cell a=8.0171 b=8.0171 c=6.0940 alpha=90.00 beta=90.00 gamma=131.56
Last column: nearest neighbours and their distance in Å.
Atoms (fractional coordinates):
As1 0.7035 0.9257 0.7500  1 As 2.44, 2 Pd 2.54
As2 0.2965 0.0743 0.2500  1 As 2.44, 2 Pd 2.54
As3 0.0743 0.2965 0.7500  1 As 2.44, 2 Pd 2.54
As4 0.9257 0.7035 0.2500  1 As 2.44, 2 Pd 2.54
K1 0.4215 0.5785 0.2500  6 As 3.46-3.71, 4 K 3.78-3.81, 4 Pd 3.80
K2 0.2059 0.7941 0.7500  2 Pd 3.37, 6 As 3.38-3.56
K3 0.7941 0.2059 0.2500  2 Pd 3.37, 6 As 3.38-3.56
K4 0.5785 0.4215 0.7500  6 As 3.46-3.71, 4 K 3.78-3.81, 4 Pd 3.80
Pd1 0.0000 0.0000 0.0000  4 As 2.54
Pd2 0.0000 0.0000 0.5000  4 As 2.54

Output
The energy of formation is -11.93 kcal/mol of atoms. Its total energy is -0.142 hartree per atom.


[2]
K2As2Pt: optimized geometry, PBE-GGA.

Unit cell a=7.8165 b=7.8165 c=6.3269 alpha=90.00 beta=90.00 gamma=130.51
Last column: nearest neighbours and their distance in Å.
Atoms (fractional coordinates):
As1 0.2979 0.0795 0.2500  1 As 2.47, 2 Pt 2.54
As2 0.0795 0.2979 0.7500  1 As 2.47, 2 Pt 2.54
As3 0.9205 0.7021 0.2500  1 As 2.47, 2 Pt 2.54
As4 0.7021 0.9205 0.7500  1 As 2.47, 2 Pt 2.54
K1 0.7960 0.2040 0.2500  2 Pt 3.30, 6 As 3.34-3.65
K2 0.2040 0.7960 0.7500  2 Pt 3.30, 6 As 3.34-3.65
K3 0.4192 0.5808 0.2500  6 As 3.38-3.78, 2 K 3.71
K4 0.5808 0.4192 0.7500  6 As 3.38-3.78, 2 K 3.71
Pt1 0.0000 0.0000 0.0000  4 As 2.54
Pt2 0.0000 0.0000 0.5000  4 As 2.54

Output
The energy of formation is -11.52 kcal/mol of atoms. Its total energy is -0.148 hartree per atom.


[3]
KAs2Rh2: optimized geometry, PBE-GGA.

Unit cell a=4.0436 b=4.0436 c=7.2523 alpha=106.19 beta=106.19 gamma=90.00
Last column: nearest neighbours and their distance in Å.
Atoms (fractional coordinates):
As1 0.6454 0.6454 0.2908  4 Rh 2.46
As2 0.3546 0.3546 0.7092  4 Rh 2.46
Rh1 0.2500 0.7500 0.5000  4 As 2.46
Rh2 0.7500 0.2500 0.5000  4 As 2.46
K1 0.0000 0.0000 0.0000  8 As 3.45

Output
The energy of formation is -14.11 kcal/mol of atoms. Its total energy is -0.207 hartree per atom.


[4]
KAs2Rh: optimized geometry, PBE-GGA.

Unit cell a=6.9136 b=6.9136 c=6.9136 alpha=145.48 beta=145.48 gamma=49.61
Last column: nearest neighbours and their distance in Å.
Atoms (fractional coordinates):
As1 0.3427 0.3427 0.0000  2 Rh 2.36
As2 0.6573 0.6573 0.0000  2 Rh 2.36
Rh1 0.2500 0.7500 0.5000  4 As 2.36
K1 0.0000 0.0000 0.0000  8 As 3.51, 4 Rh 3.75

Output
The energy of formation is -4.78 kcal/mol of atoms. The calculation puts the total magnetic moment at 0.00 μB/atom. Its total energy is -0.171 hartree per atom.


[5]
K3AsS3: optimized geometry, PBE-GGA.

Unit cell a=9.5258 b=9.5258 c=9.5258 alpha=90.00 beta=90.00 gamma=90.00
Last column: nearest neighbours and their distance in Å.
Atoms (fractional coordinates):
As1 0.2279 0.2279 0.2279  3 S 2.29
As2 0.7721 0.7279 0.2721  3 S 2.29
As3 0.7279 0.2721 0.7721  3 S 2.29
As4 0.2721 0.7721 0.7279  3 S 2.29
S1 0.7525 0.6547 0.0439  1 As 2.29
S2 0.0439 0.7525 0.6547  1 As 2.29
S3 0.5439 0.7475 0.3453  1 As 2.29
S4 0.9561 0.2525 0.8453  1 As 2.29
S5 0.2525 0.8453 0.9561  1 As 2.29
S6 0.8453 0.9561 0.2525  1 As 2.29
S7 0.6547 0.0439 0.7525  1 As 2.29
S8 0.1547 0.4561 0.2475  1 As 2.29
S9 0.7475 0.3453 0.5439  1 As 2.29
S10 0.4561 0.2475 0.1547  1 As 2.29
S11 0.2475 0.1547 0.4561  1 As 2.29
S12 0.3453 0.5439 0.7475  1 As 2.29
K1 0.9325 0.9325 0.9325  6 S 3.17-3.33